Exercise >
It remains to return everything below without additions.

Given >
<<<
# 1
VASP calculation (PBE) on a geometry-optimized InAgO2 structure.

a = 6.5670 Å, b = 6.5670 Å, c = 6.5670 Å
α = 29.03°, β = 29.03°, γ = 29.03°
Fractional positions:
O: 0.2742 0.2742 0.2742
Ag: 0.1578 0.1578 0.1578
O: 0.7291 0.7291 0.7291
In: 0.9979 0.9979 0.9979

Values from the calculation:
Energy   -19.249 eV/f.u.
Volume   14.74 A^3/atom

---

# 2
VASP calculation (PBE) on a geometry-optimized ZnAgPO4 structure.

a = 10.5706 Å, b = 5.2409 Å, c = 9.0662 Å
α = 55.12°, β = 90.00°, γ = 90.00°
Fractional positions:
Ag: 0.6079 0.1806 0.5213
Ag: 0.8921 0.1806 0.0213
O: 0.3359 0.6312 0.0433
O: 0.3321 0.3381 0.3890
O: 0.1218 0.9144 0.6890
Zn: 0.1592 0.3347 0.4746
O: 0.8359 0.3688 0.4567
P: 0.3952 0.6009 0.2086
P: 0.1048 0.6009 0.7086
O: 0.5384 0.5128 0.2256
O: 0.8321 0.6619 0.1110
O: 0.1641 0.6312 0.5433
Ag: 0.3921 0.8194 0.4787
P: 0.6048 0.3991 0.7914
O: 0.8782 0.0856 0.3110
O: 0.4616 0.4872 0.7744
Ag: 0.1079 0.8194 0.9787
P: 0.8952 0.3991 0.2914
Zn: 0.6592 0.6653 0.0254
Zn: 0.3408 0.3347 0.9746
O: 0.3782 0.9144 0.1890
Zn: 0.8408 0.6653 0.5254
O: 0.0384 0.4872 0.2744
O: 0.9616 0.5128 0.7256
O: 0.6679 0.6619 0.6110
O: 0.6218 0.0856 0.8110
O: 0.6641 0.3688 0.9567
O: 0.1679 0.3381 0.8890

Values from the calculation:
Energy relative to the lowest polymorph listed for this composition   0 meV/atom
Energy   -40.757 eV/f.u.
Volume   14.71 A^3/atom

---

# 3
VASP calculation (PBE) on a geometry-optimized Ga21Rh4 structure.

a = 20.5491 Å, b = 20.5491 Å, c = 6.5712 Å
α = 90.00°, β = 90.00°, γ = 161.61°
Fractional positions:
Ga: 0.2433 0.7567 0.0000
Ga: 0.2655 0.4372 0.8516
Ga: 0.7016 0.0072 0.6447
Ga: 0.2567 0.7433 0.5000
Ga: 0.0072 0.7016 0.6447
Ga: 0.1824 0.1142 0.6480
Ga: 0.7567 0.2433 0.0000
Ga: 0.5429 0.1349 0.1607
Rh: 0.4396 0.5604 0.5000
Ga: 0.3793 0.6207 0.5000
Ga: 0.4372 0.2655 0.8516
Ga: 0.2984 0.9928 0.3553
Ga: 0.5628 0.7345 0.1484
Ga: 0.3651 0.9571 0.6607
Rh: 0.5604 0.4396 0.5000
Rh: 0.0604 0.9396 0.0000
Ga: 0.3858 0.3176 0.1480
Ga: 0.9571 0.3651 0.6607
Ga: 0.1207 0.8793 0.0000
Ga: 0.2345 0.0628 0.3516
Ga: 0.9928 0.2984 0.3553
Ga: 0.4571 0.8651 0.8393
Ga: 0.7984 0.4928 0.1447
Rh: 0.3181 0.6819 0.5000
Ga: 0.5072 0.2016 0.8553
Ga: 0.7345 0.5628 0.1484
Ga: 0.6142 0.6824 0.8520
Ga: 0.5000 0.5000 0.5000
Ga: 0.1142 0.1824 0.6480
Ga: 0.8793 0.1207 0.0000
Ga: 0.8176 0.8858 0.3520
Ga: 0.2016 0.5072 0.8553
Ga: 0.1349 0.5429 0.1607
Ga: 0.6207 0.3793 0.5000
Rh: 0.9396 0.0604 0.0000
Ga: 0.0628 0.2345 0.3516
Ga: 0.4928 0.7984 0.1447
Ga: 0.9372 0.7655 0.6484
Ga: 0.8651 0.4571 0.8393
Ga: 0.0429 0.6349 0.3393
Rh: 0.6819 0.3181 0.5000
Ga: 0.7433 0.2567 0.5000
Ga: 0.3176 0.3858 0.1480
Ga: 0.8858 0.8176 0.3520
Ga: 0.0000 0.0000 0.0000
Ga: 0.6349 0.0429 0.3393
Ga: 0.6824 0.6142 0.8520
Rh: 0.8181 0.1819 0.0000
Rh: 0.1819 0.8181 0.0000
Ga: 0.7655 0.9372 0.6484

Values from the calculation:
Energy   -100.579 eV/f.u.
Volume   17.51 A^3/atom

---

# 4
VASP calculation (PBE) on a geometry-optimized Sm3NbO7 structure.

a = 7.6038 Å, b = 7.7228 Å, c = 10.8323 Å
α = 90.00°, β = 90.00°, γ = 90.00°
Fractional positions:
O: 0.4638 0.5488 0.6258
Sm: 0.7499 0.5373 0.9773
Sm: 0.2501 0.4627 0.0227
Sm: 0.2499 0.9627 0.5227
Sm: 0.7501 0.0373 0.0227
Nb: 0.9957 0.7464 0.7500
O: 0.7517 0.6682 0.7500
Sm: 0.5148 0.7017 0.2500
Sm: 0.7501 0.0373 0.4773
Sm: 0.2501 0.4627 0.4773
O: 0.7483 0.1682 0.2500
O: 0.2483 0.3318 0.2500
O: 0.2569 0.7316 0.1166
O: 0.9592 0.4083 0.1118
O: 0.7569 0.7684 0.3834
O: 0.2431 0.2316 0.8834
O: 0.4592 0.0917 0.1118
Nb: 0.5043 0.2464 0.2500
O: 0.7431 0.2684 0.8834
Sm: 0.4852 0.2983 0.7500
Nb: 0.4957 0.7536 0.7500
O: 0.9638 0.9512 0.6258
O: 0.2569 0.7316 0.3834
O: 0.5362 0.4512 0.3742
O: 0.0408 0.5917 0.6118
O: 0.7569 0.7684 0.1166
O: 0.4592 0.0917 0.3882
Sm: 0.7499 0.5373 0.5227
O: 0.5408 0.9083 0.8882
Sm: 0.9852 0.2017 0.7500
O: 0.0362 0.0488 0.1258
O: 0.9592 0.4083 0.3882
O: 0.5362 0.4512 0.1258
O: 0.4638 0.5488 0.8742
O: 0.5408 0.9083 0.6118
O: 0.0362 0.0488 0.3742
O: 0.0408 0.5917 0.8882
O: 0.7431 0.2684 0.6166
O: 0.9638 0.9512 0.8742
>>>

Result >
# 1
VASP calculation (PBE) on a geometry-optimized InAgO2 structure.

a = 6.5670 Å, b = 6.5670 Å, c = 6.5670 Å
α = 29.03°, β = 29.03°, γ = 29.03°
Fractional positions:
O: 0.2742 0.2742 0.2742
Ag: 0.1578 0.1578 0.1578
O: 0.7291 0.7291 0.7291
In: 0.9979 0.9979 0.9979

Values from the calculation:
Energy   -19.249 eV/f.u.
Volume   14.74 A^3/atom

---

# 2
VASP calculation (PBE) on a geometry-optimized ZnAgPO4 structure.

a = 10.5706 Å, b = 5.2409 Å, c = 9.0662 Å
α = 55.12°, β = 90.00°, γ = 90.00°
Fractional positions:
Ag: 0.6079 0.1806 0.5213
Ag: 0.8921 0.1806 0.0213
O: 0.3359 0.6312 0.0433
O: 0.3321 0.3381 0.3890
O: 0.1218 0.9144 0.6890
Zn: 0.1592 0.3347 0.4746
O: 0.8359 0.3688 0.4567
P: 0.3952 0.6009 0.2086
P: 0.1048 0.6009 0.7086
O: 0.5384 0.5128 0.2256
O: 0.8321 0.6619 0.1110
O: 0.1641 0.6312 0.5433
Ag: 0.3921 0.8194 0.4787
P: 0.6048 0.3991 0.7914
O: 0.8782 0.0856 0.3110
O: 0.4616 0.4872 0.7744
Ag: 0.1079 0.8194 0.9787
P: 0.8952 0.3991 0.2914
Zn: 0.6592 0.6653 0.0254
Zn: 0.3408 0.3347 0.9746
O: 0.3782 0.9144 0.1890
Zn: 0.8408 0.6653 0.5254
O: 0.0384 0.4872 0.2744
O: 0.9616 0.5128 0.7256
O: 0.6679 0.6619 0.6110
O: 0.6218 0.0856 0.8110
O: 0.6641 0.3688 0.9567
O: 0.1679 0.3381 0.8890

Values from the calculation:
Energy relative to the lowest polymorph listed for this composition   0 meV/atom
Energy   -40.757 eV/f.u.
Volume   14.71 A^3/atom

---

# 3
VASP calculation (PBE) on a geometry-optimized Ga21Rh4 structure.

a = 20.5491 Å, b = 20.5491 Å, c = 6.5712 Å
α = 90.00°, β = 90.00°, γ = 161.61°
Fractional positions:
Ga: 0.2433 0.7567 0.0000
Ga: 0.2655 0.4372 0.8516
Ga: 0.7016 0.0072 0.6447
Ga: 0.2567 0.7433 0.5000
Ga: 0.0072 0.7016 0.6447
Ga: 0.1824 0.1142 0.6480
Ga: 0.7567 0.2433 0.0000
Ga: 0.5429 0.1349 0.1607
Rh: 0.4396 0.5604 0.5000
Ga: 0.3793 0.6207 0.5000
Ga: 0.4372 0.2655 0.8516
Ga: 0.2984 0.9928 0.3553
Ga: 0.5628 0.7345 0.1484
Ga: 0.3651 0.9571 0.6607
Rh: 0.5604 0.4396 0.5000
Rh: 0.0604 0.9396 0.0000
Ga: 0.3858 0.3176 0.1480
Ga: 0.9571 0.3651 0.6607
Ga: 0.1207 0.8793 0.0000
Ga: 0.2345 0.0628 0.3516
Ga: 0.9928 0.2984 0.3553
Ga: 0.4571 0.8651 0.8393
Ga: 0.7984 0.4928 0.1447
Rh: 0.3181 0.6819 0.5000
Ga: 0.5072 0.2016 0.8553
Ga: 0.7345 0.5628 0.1484
Ga: 0.6142 0.6824 0.8520
Ga: 0.5000 0.5000 0.5000
Ga: 0.1142 0.1824 0.6480
Ga: 0.8793 0.1207 0.0000
Ga: 0.8176 0.8858 0.3520
Ga: 0.2016 0.5072 0.8553
Ga: 0.1349 0.5429 0.1607
Ga: 0.6207 0.3793 0.5000
Rh: 0.9396 0.0604 0.0000
Ga: 0.0628 0.2345 0.3516
Ga: 0.4928 0.7984 0.1447
Ga: 0.9372 0.7655 0.6484
Ga: 0.8651 0.4571 0.8393
Ga: 0.0429 0.6349 0.3393
Rh: 0.6819 0.3181 0.5000
Ga: 0.7433 0.2567 0.5000
Ga: 0.3176 0.3858 0.1480
Ga: 0.8858 0.8176 0.3520
Ga: 0.0000 0.0000 0.0000
Ga: 0.6349 0.0429 0.3393
Ga: 0.6824 0.6142 0.8520
Rh: 0.8181 0.1819 0.0000
Rh: 0.1819 0.8181 0.0000
Ga: 0.7655 0.9372 0.6484

Values from the calculation:
Energy   -100.579 eV/f.u.
Volume   17.51 A^3/atom

---

# 4
VASP calculation (PBE) on a geometry-optimized Sm3NbO7 structure.

a = 7.6038 Å, b = 7.7228 Å, c = 10.8323 Å
α = 90.00°, β = 90.00°, γ = 90.00°
Fractional positions:
O: 0.4638 0.5488 0.6258
Sm: 0.7499 0.5373 0.9773
Sm: 0.2501 0.4627 0.0227
Sm: 0.2499 0.9627 0.5227
Sm: 0.7501 0.0373 0.0227
Nb: 0.9957 0.7464 0.7500
O: 0.7517 0.6682 0.7500
Sm: 0.5148 0.7017 0.2500
Sm: 0.7501 0.0373 0.4773
Sm: 0.2501 0.4627 0.4773
O: 0.7483 0.1682 0.2500
O: 0.2483 0.3318 0.2500
O: 0.2569 0.7316 0.1166
O: 0.9592 0.4083 0.1118
O: 0.7569 0.7684 0.3834
O: 0.2431 0.2316 0.8834
O: 0.4592 0.0917 0.1118
Nb: 0.5043 0.2464 0.2500
O: 0.7431 0.2684 0.8834
Sm: 0.4852 0.2983 0.7500
Nb: 0.4957 0.7536 0.7500
O: 0.9638 0.9512 0.6258
O: 0.2569 0.7316 0.3834
O: 0.5362 0.4512 0.3742
O: 0.0408 0.5917 0.6118
O: 0.7569 0.7684 0.1166
O: 0.4592 0.0917 0.3882
Sm: 0.7499 0.5373 0.5227
O: 0.5408 0.9083 0.8882
Sm: 0.9852 0.2017 0.7500
O: 0.0362 0.0488 0.1258
O: 0.9592 0.4083 0.3882
O: 0.5362 0.4512 0.1258
O: 0.4638 0.5488 0.8742
O: 0.5408 0.9083 0.6118
O: 0.0362 0.0488 0.3742
O: 0.0408 0.5917 0.8882
O: 0.7431 0.2684 0.6166
O: 0.9638 0.9512 0.8742